
  • United States


by Steven J. Vaughan-Nichols

Instead of working from the office or home, why not work from the road?

May 31, 20224 mins
InternetRemote WorkSmall and Medium Business

If you're going to be a digital nomad who wants to work from anywhere, you will need the right internet connection. Say hello to SpaceX Starlink.

Some companies want people back at their desks. Others are okay with them working from their kitchen tables. How 2022!

But why not let them work from wherever they’ve pulled their RV over by the side of the road with SpaceX Starlink?

I have friends who don’t work from their office or their homes.

They work from wherever they find themselves. Indeed, you know one of them. Computerworld’s own Mike Elgan has been a digital nomad for years. He’s been working near Venice, Italy.

Me? I’m a homebody who usually works from home, but I’ve been working from Madrid this week.

But, it’s not easy.

Take Internet connectivity. Even more than power — that’s what batteries are for — we need the internet to work.

As the Mobile Internet Research Center points out: “There is no singular ‘best solution’ for all mobile Internet situations. If you want or need to move locations fairly often, you need to be prepared for the reality that what works best will change each time you relocate.”

They’re right. It changes every time.

I use Verizon when I’m in the US for my 4G/5G internet of last resort. But when I’m in Europe, I switch to my Google Fi. The Fi service is much cheaper and has better coverage for international calls and the internet.

How many people want to pay for two phone services?

But, what if you get a high-speed Internet connection that would work for you wherever you went — say, something you could hook up on your RV or boat?

That’s no longer a fantasy. SpaceX’s Starlink is now available as Starlink for RV.

With this, throughout the continental US, much of Canada, and a great deal of the UK and Europe, you can now get Starlink download speeds of over 100Mbps, upload speeds in the 12Mbps range, and latency of around 20 milliseconds.

That’s more than fast enough for work and videoconferencing.

Curiously, Starlink says you can sign up and grab a dish for your RV or boat right now. In the meantime, I’m still on the waiting list and won’t be getting a dish until mid-2022. Come on, Elon! Let’s get this dish on my roof!

Before you whip out your credit card, there are several items in the FAQ fine print you must consider.

First, you’ll only get Starlink’s “best-effort service.”

As the Starlink for RVs FAQ explains: “Network resources are always de-prioritized for Starlink for RVs users compared to other Starlink services, resulting in degraded service and slower speeds in congested areas and during peak hours. Stated speeds and uninterrupted use of the service are not guaranteed. Service degradation will be most extreme in ‘Waitlist’ areas on the Starlink Availability Map during peak hours.”

I don’t like the sound of that, but it’s still better than many of the alternatives.

In my case, Verizon covers most of the places I go to in the States. “Most.” Starlink promises to take care of me wherever I go, so long as I’m not in a city with skyscrapers blocking my satellite line of sight.

It’s also not cheap.

Ordinary Starlink costs $110 per month with a $599 one-time equipment fee. Starlink Business costs $500 per month with a $2,500 one-time equipment fee. The mobile version will cost an additional $25 a month, so you can expect a final monthly bill of $135.

That’s still less than I’m paying for my Spectrum gigabit cable connection that I can’t take anywhere.

Misplaced data records:
- - -
The following is a DFT calculation (GGA-PBE) of a relaxed structure of Cd5Ag2Pd.

Cell and atoms, written as POSCAR:
```
Cd5Ag2Pd
1.0
7.464 0.000 0.000
0.000 7.464 0.000
-3.732 -3.732 5.716
Ag Cd Pd
4 10 2
direct
0.639 0.139 0.000 Ag
0.361 0.861 0.000 Ag
0.861 0.639 0.000 Ag
0.139 0.361 0.000 Ag
0.000 0.000 0.000 Cd
0.500 0.500 0.000 Cd
0.993 0.493 0.675 Cd
0.007 0.507 0.325 Cd
0.507 0.318 0.325 Cd
0.818 0.007 0.325 Cd
0.182 0.993 0.675 Cd
0.682 0.182 0.675 Cd
0.493 0.682 0.675 Cd
0.318 0.818 0.325 Cd
0.250 0.250 0.500 Pd
0.750 0.750 0.500 Pd
```

Values from the calculation:
Its crystal system is tetragonal. The value obtained for the polymorph energy (0 for the lowest one) is 48.2 meV per atom. The calculation puts the energy of formation from the pure elements at -7 kJ/mol of atoms.

=====

The following is a DFT calculation (GGA-PBE) of a relaxed structure of Cd2AgPd2.

Cell and atoms, written as POSCAR:
```
Cd2AgPd2
1.0
4.039 0.000 0.000
0.000 4.039 0.000
2.019 2.019 6.267
Ag Pd Cd
1 2 2
direct
0.000 0.000 0.000 Ag
0.603 0.603 0.795 Pd
0.397 0.397 0.205 Pd
0.250 0.750 0.500 Cd
0.750 0.250 0.500 Cd
```

Values from the calculation:
Its crystal system is tetragonal. The value obtained for the polymorph energy (0 for the lowest one) is 319.6 meV per atom. The calculation puts the energy of formation from the pure elements at 7 kJ/mol of atoms.

=====

The following is a DFT calculation (GGA-PBE) of a relaxed structure of Cd4Ag7Pd.

Cell and atoms, written as POSCAR:
```
Cd4Ag7Pd
1.0
-5.679 1.464 -0.405
0.095 1.850 4.848
-2.493 8.599 -0.595
Ag Pd Cd
7 1 4
direct
0.998 0.327 0.669 Ag
0.002 0.673 0.331 Ag
0.242 0.503 0.003 Ag
0.500 0.000 0.000 Ag
0.753 0.170 0.329 Ag
0.247 0.830 0.671 Ag
0.758 0.497 0.997 Ag
0.000 0.000 0.000 Pd
0.749 0.823 0.674 Cd
0.518 0.679 0.322 Cd
0.251 0.177 0.326 Cd
0.482 0.321 0.678 Cd
```

Values from the calculation:
Its crystal system is triclinic. The value obtained for the polymorph energy (0 for the lowest one) is 0.0 meV per atom. The calculation puts the energy of formation from the pure elements at -6 kJ/mol of atoms.

=====

The following is a DFT calculation (GGA-PBE) of a relaxed structure of Cd2Ag5Pd.

Cell and atoms, written as POSCAR:
```
Cd2Ag5Pd
1.0
-1.567 2.306 2.936
-4.644 -3.752 0.469
5.971 -6.367 8.189
Cd Ag Pd
4 10 2
direct
0.500 0.233 0.620 Cd
0.500 0.733 0.880 Cd
0.500 0.267 0.120 Cd
0.500 0.767 0.380 Cd
0.000 0.487 0.749 Ag
0.500 0.758 0.126 Ag
0.000 0.500 0.500 Ag
0.500 0.242 0.874 Ag
0.000 0.013 0.249 Ag
0.500 0.742 0.626 Ag
0.500 0.258 0.374 Ag
0.000 0.987 0.751 Ag
0.000 0.513 0.251 Ag
0.000 0.000 0.000 Ag
0.000 0.000 0.500 Pd
0.000 0.500 0.000 Pd
```

Values from the calculation:
Its crystal system is orthorhombic. The calculation puts the energy of formation from the pure elements at -10 kJ/mol of atoms.

=====

The following is a DFT calculation (GGA-PBE) of a relaxed structure of Cd12AgPd6.

Cell and atoms, written as POSCAR:
```
Cd12AgPd6
1.0
-0.978 7.406 -2.546
-4.750 -4.968 -3.878
- - -

And, if you have your RV in your driveway, you can pause the service. You only pay for the months you’re actually on the road.

You also can’t put Starlink on a car. Although I must say the idea of driving a Tesla Model S with a Starlink antenna on the roof brings a grin to my face. You really need an RV. Or, if you never plan on hauling anything in your pickup truck, I guess you could put one there too.

And, if you have a private jet to call your own, someday soon, you may be able to buy Starlink Jet.

So, is it worth it? I think it is for some people. If you work and you really like the idea of van life, this sounds good. My partner Mary and I have been toying with the idea of getting a small RV for years now, and this would make it much easier. Stay tuned.

I and my Starlink connection may soon be coming to a town near you!